A Cheer and a Half for John Walker Lindh

Back when Miss Jean Brodie was in her prime, sending our idealistic youth to take up arms in strange lands in defense of lost causes was reason to rejoice. We were still producing romantic political heroes. And that was good news for American "progressives" of the u201830's.

The brigade of American volunteers fighting fascism in Spain also produced a cottage industry in the entertainment realm, garnering Pulitzer Prizes, fiction book awards, and Oscars. It enriched politically conscious artists, from Pablo Picasso to Gary Cooper. Somehow the aspect of it being a lost cause only added to the romantic grandeur.

Poor John Walker Lindh. He'll receive none of the benefits accruing to an older generation of American idealists. He may have gone a step too far, by mixing it up with a bunch of radical religionists. In latitudinarian America, keep your religious causes in the mainstream if you know what's good for you. He also seems to have suffered from a serious case of bad timing. By being born about a thousand years too late.

Personally, I would like to know more about John Walker Lindh, also known by several Muslim names. I would like to hear it from his own lips, although I doubt his attorneys will allow him to take the stand, and I seriously doubt that the New York publishing world is bidding on the rights to his personal war memoirs. I'll have to be satisfied with the predictable incantations from the political right and left, and from America's religious moralists who tend to triangulate politically along the same right/left fault lines.

The president made the politically correct comment that he was a poor, misguided young man. Journalists and pundits on the right ponder the applicability of the death penalty in his case, while delighting in the rich ironies between his liberal, Marin County upbringing and his spiritual home with the Taliban. Meanwhile, the left doubts that two reliable witnesses can be found to testify against him.

I suspect most Americans are willing to buy the poor, misguided youth argument. It's something they can identify with, have in fact used themselves to justify a number of things they wish they could take back. But America is not exactly in the repentance business. "Poor, misguided youth" sounds nice and therapeutic, and gets us all off the hook for our own egregious sins euphemized into youthful indiscretions. It's an argument that has become so effective that we deliberately refuse to grow up. It comes in handy all the time. It's even used by presidents on occasion to excuse their very adult sins.

In the end there will be some kind of trial, with Defense and Justice looking for a way to dispense with the thing as quickly and easily as possible so that John Walker Lindh can receive the Solomonic justice that is rightly his due: exile to his home back in Marin County where he can wait on tables at Starbucks, attend weekly therapy sessions as per court order, and argue tenaciously with his mom on visitation days about why the Taliban were justified in destroying ancient Buddhist monoliths. Which means he'll be a religious schizophrenic like the rest of us. We Americans really know how to punish people for their sins.

Which leads to my confession. I sort of admire John Walker Lindh. He deserves a cheer and a half for some things no one seems to have considered. First is his conversion to Islam. Who among us is willing to take on such a rigorous commitment of regular prayer, fasting, and self-denial? My Protestant friends worship for an hour or two a week while comfortably seated on their behinds. My Catholic friends attend Mass on Saturday afternoon so as not to interfere with their Sunday tee times. Few of my Jewish friends are kosher. And my Orthodox friends sound more and more like Episcopalians with each new buy signal from their broker.

Putting dogmatic questions aside for a moment, try going through the Muslim ritual for one week and then tell me it's not something of worthy note for this effete kid from Marin County to have achieved. But that apparently was not enough. Not being content with an Americanized version of Islam, he embarked on a journey to Pakistan to learn the Koran in its original tongue.

Now, I don't know where your travel agent sent you on your last adventure vacation, but an extended stay in Pakistan is not for the faint of heart. Nor is the study of Arabic. Has John Walker mastered the glottal stop? Try it some time. I don't mean to sound glib on this point. He seems to have mastered something beyond the ken of our best CIA and DIA agents, who complain that they have precious few "assets" available to decipher the intent of our new terrorist enemies, let alone their dialect.

Finally, discontented still with his own lack of serious commitment, John Walker decided to take up arms in defense of the Taliban, which he describes as the only true defenders of Islamic law.

Although we expect to hear volumes about how unhinged John Walker became after his exhaustive brainwashing sessions with the Al Qaeda, the truth is that these are truly heroic efforts by a young idealist which, if employed on behalf of some politically correct secular cause would now be winning him interviews with Rosie O'Donnell. The only argument of any merit against his actions, quite apart from the technical issues relating to the Constitutional punishment for treason, is of a purely theological nature. John Walker Lindh chose to throw in his lot with heretics, and that's where he went astray. But he will never be prosecuted for heresy. Heaven forbid.

The question for me is whether it is worse to be a religious heretic than it is to be a secular American where all heresies are deemed to be equally orthodox, and nothing is worth fighting for or against. But this is my own case of bad timing. I long for the good old days in Constantinople where you could have an honest fist fight in the local taverna over the true meaning of homoousion.

Whether John Walker Lindh can articulate his pilgrimage from quintessential American know-nothing to someone who found something worth fighting and dying for remains to be seen. I'll just have to speculate for the time being. I think he was responding to something inchoate that percolated up inside of him, born of a broken heart.

........
{"formula": "C27H53B2ClF2N2O13PS2", "method": "the ωB97M-V functional and the def2-TZVPD basis", "max_force_ev_per_a": 1.721, "lumo_energy_ha": 0.075, "total_charge": -1, "energy_ev": -108733.4487, "homo_lumo_gap_ha": 0.280, "molar_mass_g_mol": 803.90, "symbols": ["C", "C", "O", "C", "C", "C", "C", "C", "C", "C", "O", "P", "C", "C", "C", "S", "C", "S", "N", "C", "C", "C", "C", "C", "C", "C", "Cl", "O", "B", "O", "O", "O", "C", "B", "N", "O", "H", "H", "H", "H", "H", "H", "H", "H", "H", "H", "H", "H", "H", "H", "H", "H", "H", "H", "H", "H", "H", "H", "H", "H", "H", "H", "H", "H", "H", "H", "H", "H", "H", "H", "H", "H", "H", "H", "H", "H", "H", "H", "H", "H", "H", "H", "H", "C", "C", "O", "C", "O", "O", "F", "H", "H", "H", "C", "C", "O", "C", "O", "O", "F", "H", "H", "H"], "positions_angstrom": [[-3.706, 0.326, -4.120], [-4.241, 1.726, -4.232], [-3.495, 2.554, -3.372], [-4.225, 3.661, -2.879], [-3.367, 4.381, -1.876], [-3.474, 3.773, -0.488], [-2.273, 4.062, 0.427], [-1.564, 2.815, 0.975], [-0.238, 2.391, 0.336], [-0.359, 2.519, -1.180], [-0.133, 1.011, 0.660], [1.499, 0.466, 0.610], [0.914, -1.040, -0.371], [-0.294, -1.777, 0.216], [-1.539, -1.766, -0.689], [-2.248, -3.378, -1.144], [-1.246, -4.117, -2.323], [-1.735, -5.573, -2.868], [-0.125, -3.393, -2.789], [0.966, -4.338, -3.105], [2.305, -3.638, -3.325], [-0.580, -2.695, -4.021], [0.237, -1.443, -4.334], [3.363, 0.030, 0.693], [4.179, 0.837, -0.263], [4.153, 0.322, -1.678], [5.948, 0.810, 0.253], [1.344, -0.353, 2.172], [1.171, 0.410, 3.257], [2.141, 0.344, 4.301], [0.072, 1.196, 3.496], [1.918, 1.998, 1.372], [0.998, 3.003, 1.024], [1.613, 4.352, 0.551], [3.019, 4.575, 0.657], [0.801, 5.381, 0.051], [-3.709, 0.041, -3.077], [-4.317, -0.374, -4.674], [-2.698, 0.304, -4.503], [-5.297, 1.745, -3.970], [-4.148, 2.074, -5.263], [-4.426, 4.327, -3.719], [-5.163, 3.335, -2.430], [-2.350, 4.337, -2.247], [-3.644, 5.428, -1.862], [-3.635, 2.706, -0.604], [-4.366, 4.195, -0.039], [-1.599, 4.751, -0.062], [-2.673, 4.594, 1.283], [-2.234, 1.970, 0.905], [-1.387, 2.985, 2.028], [-1.323, 2.140, -1.495], [0.406, 1.952, -1.687], [-0.231, 3.554, -1.475], [1.793, 1.111, -0.648], [0.619, -0.660, -1.340], [1.693, -1.768, -0.561], [-0.030, -2.813, 0.385], [-0.583, -1.383, 1.180], [-1.391, -1.167, -1.575], [-2.352, -1.330, -0.122], [0.762, -4.908, -4.006], [1.049, -5.055, -2.301], [2.370, -2.743, -2.727], [3.108, -4.309, -3.061], [2.354, -3.366, -4.370], [-1.619, -2.430, -3.887], [-0.546, -3.381, -4.864], [1.009, -1.275, -3.600], [0.734, -1.558, -5.288], [-0.391, -0.570, -4.412], [3.730, 0.237, 1.688], [3.555, -1.022, 0.510], [3.919, 1.883, -0.244], [4.810, -0.530, -1.784], [3.155, 0.018, -1.965], [4.514, 1.072, -2.368], [2.012, -0.488, 4.767], [0.307, 1.982, 4.000], [0.584, 3.295, 2.009], [3.220, 5.567, 0.722], [3.399, 4.135, 1.487], [0.619, 6.006, 0.759], [-0.886, -0.107, 6.349], [-1.262, 1.179, 7.053], [-2.469, 0.823, 7.706], [-2.424, -0.519, 7.955], [-3.144, -1.090, 8.703], [-1.433, -1.095, 7.239], [-1.503, 2.196, 6.194], [-1.359, -0.186, 5.371], [0.186, -0.233, 6.238], [-0.539, 1.516, 7.799], [2.660, -5.001, 2.466], [1.677, -6.137, 2.282], [1.646, -6.281, 0.875], [2.853, -5.859, 0.392], [3.248, -6.062, -0.706], [3.527, -5.180, 1.340], [0.436, -5.828, 2.731], [2.172, -4.028, 2.396], [3.221, -5.062, 3.395], [1.984, -7.084, 2.731]], "forces_ev_per_angstrom": [[-0.10, 0.14, 0.04], [0.10, -0.08, -0.11], [-0.15, -0.19, 0.36], [0.49, 0.29, -0.57], [0.03, -0.13, -0.06], [0.35, 0.33, -0.21], [-0.54, -0.26, 0.17], [0.23, 0.85, 0.05], [-0.65, -1.21, -0.17], [0.37, 0.36, 0.15], [0.26, -0.08, -0.33], [1.08, -0.38, -1.28], [-0.36, -0.11, 0.76], [-0.10, -0.48, -0.45], [0.24, -0.19, 0.35], [-0.33, 0.39, 0.30], [-0.14, 0.24, 0.18], [-0.03, -0.59, -0.09], [-0.17, -0.88, -0.61], [0.68, 0.35, 0.12], [-0.73, -0.09, -0.06], [0.35, 0.66, 0.33], [0.05, -0.31, -0.33], [-0.17, 0.12, 0.36], [0.20, -0.18, -0.29], [0.26, -0.04, -0.29], [0.12, 0.18, 0.07], [-0.55, 0.05, -0.13], [0.87, -0.16, -0.05], [-0.37, -0.02, 0.44], [-0.52, 0.57, -0.06], [0.23, -0.21, 0.05], [-0.31, 0.16, 0.95], [0.57, -0.36, -0.67], [-0.55, 0.69, 1.10], [-0.27, 0.14, 0.27], [0.11, -0.22, 0.29], [-0.13, -0.19, -0.21], [0.41, -0.17, -0.04], [-0.28, 0.08, 0.13], [-0.08, 0.20, -0.20], [-0.36, 0.15, -0.18], [-0.29, -0.09, 0.02], [0.29, -0.03, -0.03], [-0.08, 0.35, 0.09], [0.04, -0.30, 0.10], [-0.39, -0.13, 0.20], [0.34, 0.08, -0.14], [0.02, 0.26, 0.28], [-0.17, -0.35, -0.07], [0.07, -0.23, 0.36], [-0.31, 0.03, -0.15], [0.25, -0.20, -0.06], [-0.21, 0.30, -0.22], [-0.35, 0.14, 0.09], [0.02, 0.31, -0.31], [0.45, -0.04, 0.05], [0.11, -0.37, 0.13], [0.07, 0.25, 0.21], [0.01, 0.14, -0.29], [-0.39, 0.17, -0.09], [-0.39, -0.24, -0.15], [-0.06, -0.05, 0.33], [0.19, 0.29, 0.32], [0.31, -0.15, -0.06], [0.43, 0.23, -0.26], [-0.32, 0.11, 0.11], [-0.04, -0.35, -0.08], [0.06, 0.17, 0.33], [0.19, 0.03, -0.30], [-0.18, 0.37, 0.14], [-0.13, 0.07, 0.40], [-0.13, -0.35, -0.05], [-0.12, 0.28, 0.22], [0.10, -0.39, 0.06], [-0.35, 0.04, -0.04], [0.02, 0.25, -0.26], [0.41, -0.04, -0.09], [-0.06, -0.22, 0.27], [-0.14, 0.41, 0.05], [0.29, 0.00, -0.37], [0.36, -0.55, -0.42], [-0.03, 0.18, -0.27], [0.14, -0.10, -0.10], [-0.19, -0.07, -0.21], [0.19, -0.05, 0.24], [0.01, -0.01, -0.14], [-0.08, -0.01, 0.00], [0.00, 0.16, 0.01], [-0.07, 0.00, 0.03], [-0.04, 0.16, -0.01], [0.01, -0.11, 0.13], [0.03, 0.09, -0.04], [0.14, 0.12, 0.19], [-0.22, 0.21, -0.15], [0.24, -0.22, 0.08], [-0.13, 0.15, -0.23], [-0.06, -0.05, -0.05], [-0.01, -0.01, 0.22], [0.09, -0.01, -0.07], [-0.15, -0.02, -0.02], [0.14, -0.05, -0.13], [-0.08, 0.01, 0.07]]}
........
_The article goes on_

In America, a young person's heart is generally broken by the age of eight or nine. His mind is not permitted to wander to far off worlds, especially if they are spiritual in nature. He is not permitted to ask any difficult questions that might suggest deviationist tendencies. He may be told that he has to attend church, but he would be seriously discouraged from taking it too seriously. There are absolutely no options for a truly religious vocation. There are no options if you happen to be of a spiritually sensitive nature. You are given the answers to the test in advance and you qualify for advancement if you answer correctly on six out of ten true-false questions. Ninety per cent, according to the Gallup Poll, say they believe in God and ten per cent don't. Virtually a hundred per cent would say that God has little or nothing to do with anything, if they answered honestly. If the question were asked.

If anyone is to blame, it is not the secularists. It is the Christians who have forgotten what it was like for Athanasius or Anthony of the desert, or the many thousands of wealthy, educated Romans who said to hell with the world (and the political state which claimed divine status), and went to the desert to wage war against the demons. Today you can join the Navy Seals and that's about the nearest thing. Outside of Islam that is, which, for all of its faults, is an honest to God heresy that is at least trying to be true to its roots. I hope they lose. But I'm not sure who's winning.

The late German-American philosopher Eric Voegelin once predicted the interior break up of the Soviet Union because, as he said, no one believed in Marxism anymore. He was right when all of our best minds in foreign intelligence were dead wrong. He also predicted a spiritual revival of mankind, but he was less precise on the dating. He said it was inevitable because you cannot go against human nature forever.

I don't know if we will see a spiritual revival in my lifetime. I suspect I will have to be content to live with my broken heart. But if I do see a spiritual revival it will not come from the likes of our current religious leaders. It will come from people like John Walker Lindh. When the time comes it will be obvious to all. There will be thousands, if not millions, of John Walker Lindhs who are sufficiently discontented with the world to do whatever it takes to transcend it. They will flee the cities for the desert, they will deny their bodies sex, creature comforts, even food and water, and they will pray unceasingly. They will allegorically take up arms and wage war against the demons, just like it says we are all supposed to do.

Meanwhile, I trust God is maintaining a small, vigilant rear guard so that when the time is ripe, they will be there to lead us away from all of the heretical nostrums that prey on our broken hearts and our schizophrenic psyches, and steer us in the right direction. I hear there may be a few of them left on Mt. Athos, but unlike John Walker Lindh, I don't have the courage to buy a ticket.

January 10, 2002